(Job)
Now quote the contents further below verbatim.
(Entries)
+++
The following is a theoretical PXRD pattern of Ca3NpI2O6. It was derived from a PBE-relaxed structure, using CuKα.

Largest 6 diffraction maxima, most intense first, 10 to 90 degrees two-theta:
two_theta	I_rel
21.88	100
32.85	57
15.36	54
30.47	51
30.97	46
18.48	43

Structural model:
a = 6.8442 Å, b = 6.8442 Å, c = 6.4335 Å
α = 100.06°, β = 100.06°, γ = 57.89°
Fractional coordinates of all 12 atoms:
Ca: 0.0000 0.0000 0.0000
Ca: 0.0000 0.5000 0.5000
Ca: 0.5000 0.0000 0.5000
Np: 0.5000 0.5000 0.5000
I: 0.2433 0.2433 0.9096
I: 0.7567 0.7567 0.0904
O: 0.2235 0.6726 0.6800
O: 0.3274 0.7765 0.3200
O: 0.3321 0.3321 0.3588
O: 0.6679 0.6679 0.6412
O: 0.6726 0.2235 0.6800
O: 0.7765 0.3274 0.3200


The following is a theoretical PXRD pattern of LaCl3. It was derived from a PBE-relaxed structure, using CuKα.

Largest 6 diffraction maxima, most intense first, 10 to 90 degrees two-theta:
two_theta	I_rel
13.44	100
34.09	90
41.76	74
24.45	61
23.39	40
41.11	33

Structural model:
a = 7.6055 Å, b = 7.6055 Å, c = 4.3690 Å
α = 90.00°, β = 90.00°, γ = 120.00°
Fractional coordinates of all 8 atoms:
La: 0.3333 0.6667 0.2500
La: 0.6667 0.3333 0.7500
Cl: 0.0871 0.3918 0.7500
Cl: 0.3048 0.9129 0.7500
Cl: 0.3918 0.3048 0.2500
Cl: 0.6082 0.6952 0.7500
Cl: 0.6952 0.0871 0.2500
Cl: 0.9129 0.6082 0.2500


The following is a theoretical PXRD pattern of Ba3SrCa5. It was derived from a PBE-relaxed structure, using CuKα.

Largest 6 diffraction maxima, most intense first, 10 to 90 degrees two-theta:
two_theta	I_rel
27.42	100
25.39	98
26.62	81
18.45	80
31.07	70
24.86	64

Structural model:
a = 10.7110 Å, b = 10.7110 Å, c = 13.4977 Å
α = 104.08°, β = 104.08°, γ = 38.89°
Fractional coordinates of all 18 atoms:
Ba: 0.0000 0.0000 0.0000
Ba: 0.0000 0.0000 0.5000
Ba: 0.1578 0.5332 0.9570
Ba: 0.4668 0.8422 0.5430
Ba: 0.5332 0.1578 0.4570
Ba: 0.8422 0.4668 0.0430
Sr: 0.0321 0.9679 0.2500
Sr: 0.9679 0.0321 0.7500
Ca: 0.0426 0.6163 0.6157
Ca: 0.0576 0.5997 0.2798
Ca: 0.3837 0.9574 0.8843
Ca: 0.4003 0.9424 0.2202
Ca: 0.4729 0.5271 0.7500
Ca: 0.5271 0.4729 0.2500
Ca: 0.5997 0.0576 0.7798
Ca: 0.6163 0.0426 0.1157
Ca: 0.9424 0.4003 0.7202
Ca: 0.9574 0.3837 0.3843

~~~~~

This entry pairs a crystal structure of Rb2ZrAg2Te2Se2 with its theoretical X-ray diffraction stick pattern. Radiation: Cu Kα, 1.54184 Å. Structure: a DFT-relaxed cell (GGA-PBE, OQMD).

Top 12 peaks for 2θ from 5° to 70°, sorted by position:
2θ/deg	I (rel.)
12.26	51
15.07	22
26.84	98
27.12	100
27.75	21
30.30	23
30.41	44
37.44	38
39.65	93
47.16	34
48.44	39
48.66	21

Atomic structure:
```
data_Rb2ZrAg2Te2Se2
_chemical_formula_sum 'Rb2 Zr1 Ag2 Te2 Se2'
_cell_length_a 7.905
_cell_length_b 7.905
_cell_length_c 6.423
_cell_angle_alpha 90.76
_cell_angle_beta 90.76
_cell_angle_gamma 48.06
_space_group_name_H-M_alt 'P 1'
_space_group_IT_number 1
loop_
_space_group_symop_operation_xyz
'x,y,z'
loop_
_atom_site_label
_atom_site_fract_x
_atom_site_fract_y
_atom_site_fract_z
_atom_site_occupancy
Rb1 0.250 0.250 0.240 1
Rb2 0.750 0.750 0.760 1
Zr1 0.754 0.246 0.500 1
Ag1 0.249 0.751 0.500 1
Ag2 0.759 0.241 0.000 1
Te1 0.391 0.380 0.742 1
Te2 0.620 0.609 0.258 1
Se1 0.084 0.126 0.731 1
Se2 0.874 0.916 0.269 1
```

---

This entry pairs a crystal structure of NdGdCd2Au4 with its theoretical X-ray diffraction stick pattern. Radiation: Cu Kα, 1.54184 Å. Structure: a DFT-relaxed cell (GGA-PBE, OQMD).

Top 7 peaks for 2θ from 5° to 70°, sorted by position:
2θ/deg	I (rel.)
21.81	1
25.24	5
35.99	100
44.47	2
51.82	18
58.48	2
64.71	36

Atomic structure:
```
data_NdGdCd2Au4
_chemical_formula_sum 'Nd1 Gd1 Cd2 Au4'
_cell_length_a 4.992
_cell_length_b 4.992
_cell_length_c 7.054
_cell_angle_alpha 90.00
_cell_angle_beta 90.00
_cell_angle_gamma 90.00
_space_group_name_H-M_alt 'P 1'
_space_group_IT_number 1
loop_
_space_group_symop_operation_xyz
'x,y,z'
loop_
_atom_site_label
_atom_site_fract_x
_atom_site_fract_y
_atom_site_fract_z
_atom_site_occupancy
Nd1 0.000 0.000 0.000 1
Gd1 0.500 0.500 0.500 1
Cd1 0.000 0.000 0.500 1
+++
(Done)
The following is a theoretical PXRD pattern of Ca3NpI2O6. It was derived from a PBE-relaxed structure, using CuKα.

Largest 6 diffraction maxima, most intense first, 10 to 90 degrees two-theta:
two_theta	I_rel
21.88	100
32.85	57
15.36	54
30.47	51
30.97	46
18.48	43

Structural model:
a = 6.8442 Å, b = 6.8442 Å, c = 6.4335 Å
α = 100.06°, β = 100.06°, γ = 57.89°
Fractional coordinates of all 12 atoms:
Ca: 0.0000 0.0000 0.0000
Ca: 0.0000 0.5000 0.5000
Ca: 0.5000 0.0000 0.5000
Np: 0.5000 0.5000 0.5000
I: 0.2433 0.2433 0.9096
I: 0.7567 0.7567 0.0904
O: 0.2235 0.6726 0.6800
O: 0.3274 0.7765 0.3200
O: 0.3321 0.3321 0.3588
O: 0.6679 0.6679 0.6412
O: 0.6726 0.2235 0.6800
O: 0.7765 0.3274 0.3200


The following is a theoretical PXRD pattern of LaCl3. It was derived from a PBE-relaxed structure, using CuKα.

Largest 6 diffraction maxima, most intense first, 10 to 90 degrees two-theta:
two_theta	I_rel
13.44	100
34.09	90
41.76	74
24.45	61
23.39	40
41.11	33

Structural model:
a = 7.6055 Å, b = 7.6055 Å, c = 4.3690 Å
α = 90.00°, β = 90.00°, γ = 120.00°
Fractional coordinates of all 8 atoms:
La: 0.3333 0.6667 0.2500
La: 0.6667 0.3333 0.7500
Cl: 0.0871 0.3918 0.7500
Cl: 0.3048 0.9129 0.7500
Cl: 0.3918 0.3048 0.2500
Cl: 0.6082 0.6952 0.7500
Cl: 0.6952 0.0871 0.2500
Cl: 0.9129 0.6082 0.2500


The following is a theoretical PXRD pattern of Ba3SrCa5. It was derived from a PBE-relaxed structure, using CuKα.

Largest 6 diffraction maxima, most intense first, 10 to 90 degrees two-theta:
two_theta	I_rel
27.42	100
25.39	98
26.62	81
18.45	80
31.07	70
24.86	64

Structural model:
a = 10.7110 Å, b = 10.7110 Å, c = 13.4977 Å
α = 104.08°, β = 104.08°, γ = 38.89°
Fractional coordinates of all 18 atoms:
Ba: 0.0000 0.0000 0.0000
Ba: 0.0000 0.0000 0.5000
Ba: 0.1578 0.5332 0.9570
Ba: 0.4668 0.8422 0.5430
Ba: 0.5332 0.1578 0.4570
Ba: 0.8422 0.4668 0.0430
Sr: 0.0321 0.9679 0.2500
Sr: 0.9679 0.0321 0.7500
Ca: 0.0426 0.6163 0.6157
Ca: 0.0576 0.5997 0.2798
Ca: 0.3837 0.9574 0.8843
Ca: 0.4003 0.9424 0.2202
Ca: 0.4729 0.5271 0.7500
Ca: 0.5271 0.4729 0.2500
Ca: 0.5997 0.0576 0.7798
Ca: 0.6163 0.0426 0.1157
Ca: 0.9424 0.4003 0.7202
Ca: 0.9574 0.3837 0.3843

~~~~~

This entry pairs a crystal structure of Rb2ZrAg2Te2Se2 with its theoretical X-ray diffraction stick pattern. Radiation: Cu Kα, 1.54184 Å. Structure: a DFT-relaxed cell (GGA-PBE, OQMD).

Top 12 peaks for 2θ from 5° to 70°, sorted by position:
2θ/deg	I (rel.)
12.26	51
15.07	22
26.84	98
27.12	100
27.75	21
30.30	23
30.41	44
37.44	38
39.65	93
47.16	34
48.44	39
48.66	21

Atomic structure:
```
data_Rb2ZrAg2Te2Se2
_chemical_formula_sum 'Rb2 Zr1 Ag2 Te2 Se2'
_cell_length_a 7.905
_cell_length_b 7.905
_cell_length_c 6.423
_cell_angle_alpha 90.76
_cell_angle_beta 90.76
_cell_angle_gamma 48.06
_space_group_name_H-M_alt 'P 1'
_space_group_IT_number 1
loop_
_space_group_symop_operation_xyz
'x,y,z'
loop_
_atom_site_label
_atom_site_fract_x
_atom_site_fract_y
_atom_site_fract_z
_atom_site_occupancy
Rb1 0.250 0.250 0.240 1
Rb2 0.750 0.750 0.760 1
Zr1 0.754 0.246 0.500 1
Ag1 0.249 0.751 0.500 1
Ag2 0.759 0.241 0.000 1
Te1 0.391 0.380 0.742 1
Te2 0.620 0.609 0.258 1
Se1 0.084 0.126 0.731 1
Se2 0.874 0.916 0.269 1
```

---

This entry pairs a crystal structure of NdGdCd2Au4 with its theoretical X-ray diffraction stick pattern. Radiation: Cu Kα, 1.54184 Å. Structure: a DFT-relaxed cell (GGA-PBE, OQMD).

Top 7 peaks for 2θ from 5° to 70°, sorted by position:
2θ/deg	I (rel.)
21.81	1
25.24	5
35.99	100
44.47	2
51.82	18
58.48	2
64.71	36

Atomic structure:
```
data_NdGdCd2Au4
_chemical_formula_sum 'Nd1 Gd1 Cd2 Au4'
_cell_length_a 4.992
_cell_length_b 4.992
_cell_length_c 7.054
_cell_angle_alpha 90.00
_cell_angle_beta 90.00
_cell_angle_gamma 90.00
_space_group_name_H-M_alt 'P 1'
_space_group_IT_number 1
loop_
_space_group_symop_operation_xyz
'x,y,z'
loop_
_atom_site_label
_atom_site_fract_x
_atom_site_fract_y
_atom_site_fract_z
_atom_site_occupancy
Nd1 0.000 0.000 0.000 1
Gd1 0.500 0.500 0.500 1
Cd1 0.000 0.000 0.500 1